With operations spread across the West Asia, Africa, the Caspian, Asia Pacific and South Asia, Punj Lloyd is not a newcomer as an EPC (engineering procurement and construction) service provider in energy sector particularly.

Contractor of the import-export LPG terminal at Ennore, its second as a contractor, and involved with a section of GAIL (India) Ltd’s Kochi-Koottanad Pipeline, remains focused on projects in developing countries. So far the company has laid 11,000 km of pipeline of this 7,000 km is in India including Mukesh Ambani’s East-West pipeline Network, and GAIL’s Dahej-Vijaipur pipeline.

In conversation with Business Line Shivendra Kumar, President & CEO Energy – South Asia, Punj Lloyd, shares his thoughts on the issues concerning the sector and why the company feels at an advantage when working in developing countries.


What are the difference between cross country network and city gas distribution networks?

Cost of laying the pipeline in a city is three to four times more than a cross country network. More expensive because it requires lot of maneuvering, there are other networks also – water, electric cables, sewerage lines etc. Lot of issues involved with city dwellers due to space constraints, not being able to use mechanized pipe laying, and inconvenience to traffic and city dwellers during the construction period.

Suppose 100 km of cross country and city gas – in terms of installation cost – in normal terrain, it will cost you $5 an inch metre highway, in city it will cost $ 15-20 an inch metre.

[What comes next are materials data, not part of the article]
+++
(1)
Entry from Materials Project: a relaxed Ba3SrMgNb2O9 crystal (PBE).

Lattice parameters (Å, degrees): 5.9894 5.9894 9.1068 90.00 90.00 120.00
Space group P3m1 (No. 156)
One atom of each set of equivalent atoms:
Ba 0.0000 0.0000 0.0000
Ba 0.3333 0.6667 0.4914
Ba 0.6667 0.3333 0.1849
Sr 0.6667 0.3333 0.8087
Mg 0.6667 0.3333 0.4957
Nb 0.0000 0.0000 0.3848
Nb 0.3333 0.6667 0.1030
O 0.0107 0.5054 0.9762
O 0.1652 0.3303 0.2460
O 0.3140 0.1570 0.5232

Output
Uncorrected energy ... -7.0371 eV per atom
E_form ... -2.8122 eV/atom
Energy above the lowest structure with this stoichiometry ... 167 kJ/mol of formula units
ρ ... 5.01 g/cm3
Crystal system ... trigonal

***

(2)
Entry from Materials Project: a relaxed Na6MgSi4Sn3S2O24 crystal (PBE).

Lattice parameters (Å, degrees): 9.032 9.043 22.630 89.44 89.56 60.09
Space group P1 (No. 1)
One atom of each set of equivalent atoms:
Na 0.000 0.000 0.000
Na 0.005 0.363 0.507
Na 0.029 0.680 0.915
Na 0.030 0.675 0.424
Na 0.038 0.313 0.178
Na 0.061 0.348 0.835
Na 0.321 0.706 0.838
Na 0.363 0.007 0.752
Na 0.365 0.017 0.257
Na 0.367 0.650 0.509
Na 0.372 0.369 0.012
Na 0.641 0.044 0.174
Na 0.668 0.363 0.093
Na 0.696 0.340 0.588
Na 0.698 0.709 0.346
Na 0.705 0.966 0.838
Na 0.712 0.656 0.009
Na 0.718 0.010 0.507
Mg 0.028 0.677 0.778
Mg 0.365 0.005 0.602
Mg 0.383 0.994 0.110
Si 0.077 0.008 0.509
Si 0.324 0.380 0.174
Si 0.362 0.716 0.009
Si 0.365 0.300 0.510
Si 0.399 0.340 0.840
Si 0.650 0.715 0.507
Si 0.657 0.010 0.009
Si 0.697 0.045 0.339
Si 0.698 0.630 0.840
Si 0.731 0.674 0.174
Si 0.990 0.049 0.841
Si 0.994 0.332 0.339
Sn 0.024 0.666 0.277
Sn 0.027 0.676 0.572
Sn 0.033 0.672 0.074
Sn 0.357 0.025 0.408
Sn 0.373 0.994 0.904
Sn 0.685 0.343 0.938
Sn 0.691 0.343 0.239
Sn 0.696 0.339 0.741
Sn 0.706 0.330 0.443
S 0.028 0.379 0.676
S 0.033 0.965 0.174
S 0.072 0.297 0.008
S 0.325 0.672 0.675
S 0.399 0.636 0.341
S 0.735 0.970 0.676
O 0.001 0.485 0.620
O 0.005 0.510 0.337
O 0.010 0.864 0.834
O 0.040 0.469 0.728
O 0.051 0.837 0.515
O 0.052 0.473 0.010
O 0.057 0.859 0.226
O 0.151 0.195 0.061
O 0.152 0.052 0.565
O 0.175 0.223 0.953
O 0.177 0.039 0.846
O 0.177 0.993 0.166
O 0.179 0.160 0.344
O 0.179 0.211 0.671
O 0.191 0.690 0.012
O 0.193 0.494 0.517
O 0.200 0.479 0.229
O 0.200 0.958 0.450
O 0.214 0.505 0.831
O 0.223 0.685 0.728
O 0.227 0.656 0.334
O 0.246 0.646 0.620
O 0.248 0.494 0.112
O 0.308 0.237 0.450
O 0.316 0.831 0.946
O 0.330 0.198 0.170
O 0.344 0.824 0.670
O 0.384 0.167 0.847
O 0.389 0.804 0.344
O 0.394 0.808 0.062
O 0.415 0.174 0.565
O 0.471 0.383 0.900
O 0.473 0.532 0.394
O 0.500 0.510 0.677
O 0.509 0.557 0.287
O 0.519 0.352 0.178
O 0.523 0.818 0.843
O 0.528 0.332 0.499
O 0.529 0.794 0.563
O 0.533 0.012 0.343
O 0.535 0.285 0.785
O 0.536 0.055 0.065
O 0.537 0.523 0.002
O 0.549 0.843 0.171
O 0.566 0.986 0.671
O 0.579 0.831 0.446
O 0.581 0.968 0.948
O 0.647 0.548 0.785
O 0.665 0.159 0.279
O 0.677 0.522 0.499
O 0.688 0.176 0.002
O 0.722 0.130 0.399
O 0.723 0.144 0.677
O 0.732 0.489 0.179
O 0.738 0.513 0.901
+++

You are involved with the now controversial gas Kochi-Bangalore-Mangalore Pipeline. What is your take on the issues being raised in Tamil Nadu?

We are not doing any stretch in Tamil Nadu, but we are doing in Kerala. The whole controversy is now about farmland versus highways.

What is to be remembered is that when a pipeline is being laid on farmland it is temporary acquisition of land never permanent. When we dig for laying the pipeline, we ensure that the earth is put back in such a way that the land can be cultivated once the pipeline is laid. Land is restored to them as it is. Soil is not affected at all. There is no danger whatsoever in having a pipeline through farmland.

The pipe is laid 1.2 metre below ground level and has a sophisticated SCADA system which monitors any potential problems. Optic fibre cable (OFC) is also laid along the pipeline for communication, so it is very safe.

Punj Lloyd is very conscious of preserving the top soil. Other aspects such as plants or trees which need to be cut is given more than adequate compensation by the client.

What is the global trend?

Commonly it is not along the highway because that will not be shortest route. There is a huge cost associated with the highway route - increased length of pipe, crossings etc.

Problem which we face in laying the network vis-à-vis US is that we are densely populated, they are not. There are stretches where there is no population at all in the US. West Asia, it is in the desert.

Punj Lloyd has laid network in Turkey and Georgia, where it has run through farmland. In our country population is spread all across.

If it is running parallel to the highways the length of pipeline will increase resulting in higher costs. Besides, today the farmers have come upto the road. Then there are networks across highways -- cables, sewage lines -- details or records not there. It is time consuming.

You are doing projects in countries where geopolitics is an issue. How do you deal with it? How do you hedge your risk?

It is all about risk and reward. If I take a project in Sudan I will not take a decision like I do in India, which is a matured economy. Risk hedging at a given time will limit our exposure. We manage our cash flow minutely. Like in Libya– we go as a contractor not as a project developer. More geo-politically difficult areas are better for us.

We are more successful in developing economy than in developed economy. In a developed economy we do not have any competitive advantage.

How challenging was setting up your second LPG terminal in the country?

LPG demands in South India were quite pressing. The terminal had to be able to store butane, propane and LPG. This terminal has an unique feature, it has facility for product interchange ability. In other words, any of our tanks can store anything. It is also fully automatic.

We were the EPC contractors for the terminal built by the joint venture of Indian Oil Corporation Limited and Malasyian Govt. Owned Petronas (IPPL), 600,000 tonnes per annum capacity LPG Import-Export terminal project worth Rs 546 crore.

As an EPC contractor what are the challenges you face? Is the selection process tough in India?

The selection process for an infrastructure contractor in India is the same as what is the global practice – through tenders. But, in order to increase competition in India, the companies offering the projects divide the project in number of sections, in case of a pipeline project.

In other words, if it is an 800 km pipeline network then the companies like GAIL divide it into 8 sections of 100 km each. The net result is there can be 8 contractors laying one project. When you divide projects into number of pieces you are giving opportunity to small players, which is good, but you are not confident of timely delivery. As the smaller players may not have the resources and wherewithal to do the project on time.

Like the Dabhol-Bangalore pipeline was divided into ten separate contracts.

But, a significant portion of Dabhol-Bangalore network was built by Punj Lloyd. What was your bidding strategy?

We bid in such a manner that we got seven spreads of the network. When a contract is awarded to a single contractor, it is easier to implement. For instance, suppose there are some disturbances – local interferences – the contractor can always start work on the next section and come back to the affected area later.

It is the client who has to get the right of way for us, which is a tedious process. There are disturbances and local interference.

Does it also affect the economies of scale for big players like you?

Small packages do not give economies of scale. It makes a project unattractive for players like us. If there is pipeline of 800 km pipeline, they have divided into 8 parts, so 8 contractors can do job. Size is small and players who can get qualified are also not big.

What are the risk elements for an EPC contractor?

The biggest risk is of idling because we are dependent on right of way, which is clients’ responsibility. There can be extensions which require extra time, terrain, areas can throw some challenges – in spite of surveys one doesn't know whether there is rock or soft soil.

The initial assumptions can go wrong.
